Got my first Clown (question)


I got my first perc clown. I have a 55g. I took my 4 damsels back (finally, wahoo!!). So all I have in my tank is a perc clown and a cleaner shrimp. What i want to do is get another clown for the one i just bought today. I'll probably buy one this weekend. The question is, does it have to be a perc or can it be any?? I was going to buy a pair today but they had three clowns and two of them were pretty big. The 2 big ones were together and the little fellow I bought was all by himself. I bought a smaller one. I've heard they don't get along with another clown at first and that they will attack each other. Is this the case?? Does it matter on size? I'm guessing I should get one that is around the same size. Also, is there a way for one to tell if a clown is male or female? Sorry for all the questions, but I'm excited cause i finally got my first REAL fish :)


Active Member
i think it was nice of you to not tear the other couple apart.
i think you can either buy one that's much larger or buy one that's about the same size as the one you currently have.
yes they'll fight intially.


is there a way to tell if mine is male or female??? That way i can match up the opposite for him this weekend???

These data records were left in the page by mistake.
- - -
Record 1
11
Properties=species:S:1:pos:R:3:mulliken_charge:R:1 method="wB97M-V/def2-TZVPD" total_energy_ev=-10141.992 orbital_gap_ev=9.9154 de_lowest_kcal_mol=118.6 smiles=Nc1nonc1N lumo_energy_ev=0.36
C -0.255 -0.649 0.004 0.60
H 0.769 2.412 -0.253 0.29
N -1.417 -1.287 0.046 -0.47
C -0.477 0.724 -0.206 0.20
H 1.092 0.971 1.026 0.31
H 1.129 -2.341 -0.448 0.33
N -1.791 1.010 0.008 -0.32
N 0.918 -1.258 0.057 -0.56
H 1.702 -0.702 -0.273 0.29
O -2.480 -0.195 0.020 -0.08
N 0.808 1.315 0.019 -0.58



Record 2
11
Properties=species:S:1:pos:R:3:mulliken_charge:R:1 method="wB97M-V/def2-TZVPD" total_energy_ev=-10144.178 orbital_gap_ev=9.9830 de_lowest_kcal_mol=68.2 smiles="Nn1[nH]ncc1=O" lumo_energy_ev=0.80
C 0.958 -0.469 1.402 -0.32
H -0.608 1.475 -1.760 0.28
N -1.083 -0.384 0.749 -0.07
H -0.579 -0.217 -2.229 0.26
N -0.289 -0.651 1.769 -0.44
N -0.290 0.201 -0.292 0.44
H 1.821 -0.687 1.998 0.42
O 1.849 0.067 -0.936 -0.63
N -0.879 0.484 -1.502 -0.77
H -1.929 0.242 0.865 0.30
C 1.028 -0.060 -0.064 0.55



Record 3
11
Properties=species:S:1:pos:R:3:mulliken_charge:R:1 method="wB97M-V/def2-TZVPD" total_energy_ev=-10145.554 orbital_gap_ev=9.5138 de_lowest_kcal_mol=36.5 smiles=Nc1nn[nH]c1O lumo_energy_ev=0.64
H -2.177 1.153 -0.116 0.25
C 0.520 -0.512 0.000 0.37
N -0.468 -1.429 0.019 -0.23
H 2.188 -1.386 -0.803 0.29
N -1.638 -0.830 0.015 -0.58
N 1.933 -0.746 -0.032 -0.55
C -0.046 0.756 0.005 0.27
N -1.379 0.523 -0.011 0.14
O 0.532 1.945 0.004 -0.56
H 2.257 -1.122 0.875 0.27
H 1.503 1.702 0.043 0.35



Record 4
11
Properties=species:S:1:pos:R:3:mulliken_charge:R:1 method="wB97M-V/def2-TZVPD" total_energy_ev=-10142.049 orbital_gap_ev=9.8326 de_lowest_kcal_mol=117.3 smiles=Nc1ncnn1O lumo_energy_ev=0.50
C -0.552 -0.410 0.067 0.35
N -1.944 -0.211 -0.306 -0.56
H -2.067 0.417 0.788 0.33
H -2.534 -0.877 0.149 0.30
C 1.447 -1.142 -0.009 0.04
N 0.317 0.621 -0.057 0.71
H 0.735 2.441 -0.591 0.39
H 2.601 -1.494 -0.037 0.29
N 1.596 0.214 -0.153 -0.71
O 0.267 1.927 0.111 -0.48
N 0.135 -1.486 0.040 -0.66



Record 5
12
Properties=species:S:1:pos:R:3:mulliken_charge:R:1 method="wB97M-V/def2-TZVPD" total_energy_ev=-12186.623 orbital_gap_ev=9.8305 de_lowest_kcal_mol=158.3 lumo_energy_ev=-0.17
H -3.090 -0.385 0.348 0.29
N 1.051 -1.834 -0.092 -0.29
N -2.119 -0.154 -0.341 -0.53
O -0.456 -1.821 -0.100 -0.20
N 0.129 1.636 -0.028 -0.74
H -1.559 0.886 -0.489 0.39
O 2.455 -0.066 -0.071 -0.52
C 1.192 -0.641 -0.125 0.49
C 0.051 0.362 0.123 0.49
H 2.411 0.479 0.807 0.37
N -0.942 -0.486 0.557 -0.02
H 0.877 2.026 -0.590 0.26



Record 6
12
Properties=species:S:1:pos:R:3:mulliken_charge:R:1 method="wB97M-V/def2-TZVPD" total_energy_ev=-12190.417 orbital_gap_ev=9.4352 de_lowest_kcal_mol=70.8 smiles="NNc1n[nH]oc1=O" lumo_energy_ev=0.62
C -0.137 -0.376 0.000 0.42
N 1.108 -0.712 -0.072 -0.04
C -0.666 0.978 -0.078 0.70
H -3.149 -0.636 0.511 0.28
O -1.979 0.823 0.010 -0.19
H 2.343 0.604 0.876 0.28
H 1.281 -1.779 -0.343 0.30
N -1.150 -1.194 0.091 -0.58
O -0.071 2.043 -0.021 -0.60
- - -


OK, i just went to check on him this morning for the first time and he's still in the same place. He/she sits on the top of the water in the back corner and just barely moves around. Sometimes on his side. He looks very healthy but I'm not sure what's wrong. This is the first fish I've added (besides the damsels, and they went straight in and started swimming). My Cleaner shrimp stayed to himself for a couple of hours the first time I added him but the clownfish has stayed in one corner since yesterday? Should I worry? It's a 55g and I have no other fish but the shrimp. Is he getting lonely maybe??? Thanks.


I'll do so, i just turned them on and i have a weird schedule today. I'll be back around 7pm so I'll post up then.
BTW, he spits out flakes and pellets that I feed him. Remember i had damsels so I didn't invest in any good food. But I'm getting worried that he's not eating.


Active Member
they do that in the beginning, mine did too. i was worried as well.
in addition to the flakes, get him (them) some frozen food, brine shrimp, and whole dried cyclop-eeze if it is available to you.
he will get used to the food. if we can determine that the floating near the surface thing is just sleeping.
just wanted to add that when the lights for my tank first turn on in the morning. my fish sometimes gets a little startled, then they appear confused and stay in their sleeping posture. after a few minutes they realize it's time for breakfast because they see me, then they start swimming around.


Don't mix your clownfish! I had a false perc and put a sebae clown in with him.......needless to say I lost my false perc. I moved the Sebae to my 30g and got 2 more false perc's and everything is wonderful now. Also, don't wait too long to get the second one. I have read (don't know for sure if it is true) that if one is alone for too long and you try to introduce a second one that the loner will kill him.


well, i just got home and my clown is still in the corner of my tank on the top of the water. I was afraid he might be getting hungry so I went and got some frozen brime shrimp and fed him. He came out of the corner to get the food and ate a little bit, then went right back to the corner. Any suggestions??


Ur Clown Jus seem to trying to acclimate himself to the tank i have gone threw a few clowns an each one has done this al so what is the temperature in the tank i have found my fish seem to be alil more active when it warmer


Active Member
Clownfish are a bit odd with sexing.
All clownfish are born male. When paired up, they will fight for dominance. The larger more agressive one will turn female. A female will not turn back into a male, and will fight with other females.
To get a mated pair, either:
a) buy two very small clownfish
b) buy one fish significantly bigger than the other
c) wait until the one you have grows a bit, then introduce a very small clownfish. The one you already have will turn female, and should accept the smaller male after a bit of arguing over it.


Active Member
if it's eating i wouldn't worry too much.
none of my percs i've introduced ever displayed this behavior, not for a long period of time anyway.
if it's only doing it at night then i say it's sleeping. if it does it during the day i say that's normal percula behavior, but you say it does it during the day AND sometimes on its side, that's a little weird.


ok, we're on the third day and my clown is still in the corner. I'm going to feed him here in a little bit but my question is, should i call the fish store come tomorrow and see about taking him back. I don't want the little fellow to not be happy. Or should I just go get another one and hopefully it'll give him some company. I don't think my clown and cleaner shrimp are good friends yet. Besides, one crawls on the sand and one floats at the top in the corner. Go figure.


Well, I have (had) 2 ocellaris clowns. I got the first two as a pair but one died. After that it seems like every time I add one either it or the other dies. The wierd thing is that one always survives. I'm thinking about just putting the remaining one in my 30g and starting with a mated pair. Any thoughts?


Active Member
a) Are you adding only small/baby clowns to the tank?
b) Are you puting them through QT before introduction to the display tank?
These are both good ideas.


well i fed him again today and he came out of the corner to come eat but would not come far from the corner. He would grab some food then would back up to the corner again. It almost appears that he's FLOATING. He's ALWAYS 99.9% of the time on the VERY top of the water. I don't get it. :notsure:
And to answer the above question,
1. He's not fully grown but he's not TINY TINY. A little under avg, i'd say.
2. YES


Active Member

Originally posted by nc2tarheel
well i fed him again today and he came out of the corner to come eat but would not come far from the corner. He would grab some food then would back up to the corner again. It almost appears that he's FLOATING. He's ALWAYS 99.9% of the time on the VERY top of the water. I don't get it. :notsure:
And to answer the above question,
1. He's not fully grown but he's not TINY TINY. A little under avg, i'd say.
2. YES

Is there some object in that corner he may be "hosting"? Clownfish aren't big swimmers, they like to stay in thier anenome or favorite coral and come out for quick food trips. Several people report thier clownfish "hosting" powerheads and other hang-on-back equiptment if they don't find a coral they like. If he's eating well, and not showing any physical signs of distress, I'd say not to worry. You may want to try an easy to keep soft coral, (something compatable with your lighting) and see if he/she likes that.
The small fish question was for the fellow who only gets one survivor when he buys a second clownfish. When adding a second clownfish to a tank where one is already established, a considerably smaller one should be added to sort out dominance more quickly and ensure the fish has not perviously decided to become female.


Active Member
percula clowns are surface swimmers so the fact that it's swimming near the surface is not a concern.
look into water current.


The water current I thought about but the weird thing is, this fish leans to the side. That's my problem. I don't care where he swims that much as long as he looks somewhat normal. He doesn't though. He doesn't look stressed or have anything that would appear to be wrong with him. At first i was thinking he might be looking at his reflection. Not sure though. He turns to the side as if he can't go down deeper without having to try to hard if that makes any sense. ??:notsure: